We’ve promised to explain how political power and political money, particularly big dollar PAC money, is divided in Texas into four tribes. Here’s how we did it:
To go beyond the typical Republic vs. Democrat narrative and understand the real story, we took a look at key votes that forced legislators to reveal their true stripes. Several political organizations publish legislative score cards which rank legislators on votes important to their cause. Texas Right to Life, for example, scores legislators on votes related to life issues. There are also non-partisan scorecards, such as the liberal-conservative index compiled by Dr. Mark Jones of Rice University. While these are instructive, often a legislator’s final vote doesn’t reveal his or her true intentions.
For example, State Representative Byron Cook is on record as voting in favor of the bill banning abortion-by-dismemberment, which became law in Texas during the 85th Legislative Session. Typical scorecards would show this as a conservative vote by State Rep. Cook. But that’s not the whole story. Transparency Texas detailed how State Rep. Cook, Chairman of the powerful House Committee on State Affairs, stalled and killed almost all pro-life legislation during the last two legislative sessions. As an example, he refused to allow the dismemberment abortion ban to have a hearing in his committee, going to great lengths around the Capitol to discredit the legislation. A last-minute maneuver by the self-described House Freedom Caucus allowed the dismemberment ban to be amended to another bill and receive a vote. At this point, forced to take a public stand and facing a conservative primary challenger, State Rep. Cook voted in favor of the very bill he had sought to kill in his committee.
The article is interrupted by records of crystals =
┌──
This entry pairs a crystal structure of Ca10Si3S3Cl2O24 with its computed XRD peak list. Radiation: Cu Kα X-rays. Structure: a GGA-PBE-relaxed structure.

Cell and atoms:
```
data_Ca10Si3S3Cl2O24
_chemical_formula_sum 'Ca10 Si3 S3 Cl2 O24'
_space_group_name_H-M_alt 'P 1 m 1'
_space_group_IT_number 6
_space_group_name_Hall 'P -2y'
_cell_length_a 9.7936
_cell_length_b 6.8168
_cell_length_c 9.8796
_cell_angle_alpha 90.00
_cell_angle_beta 119.33
_cell_angle_gamma 90.00
loop_
_atom_site_label
_atom_site_type_symbol
_atom_site_fract_x
_atom_site_fract_y
_atom_site_fract_z
_atom_site_occupancy
Ca1 Ca 0.0000 0.0000 0.0000 1
Ca2 Ca 0.0040 0.5000 0.5404 1
Ca3 Ca 0.2353 0.0000 0.5209 1
Ca4 Ca 0.2457 0.5000 0.3123 1
Ca5 Ca 0.3000 0.2405 0.9253 1
Ca6 Ca 0.6294 0.2454 0.5912 1
Ca7 Ca 0.7062 0.5000 0.0261 1
Ca8 Ca 0.7520 0.0000 0.3211 1
Si1 Si 0.3593 0.5000 0.6939 1
Si2 Si 0.3809 0.0000 0.3049 1
Si3 Si 0.9342 0.0000 0.6584 1
S1 S 0.0047 0.5000 0.9022 1
S2 S 0.5552 0.5000 0.2387 1
S3 S 0.6014 0.0000 0.8744 1
Cl1 Cl 0.9687 0.2534 0.2676 1
O1 O 0.0554 0.3261 0.0052 1
O2 O 0.0946 0.5000 0.8150 1
O3 O 0.1157 0.0000 0.8000 1
O4 O 0.2428 0.3056 0.6398 1
O5 O 0.3000 0.0000 0.1151 1
O6 O 0.3350 0.1919 0.3766 1
O7 O 0.3792 0.5000 0.1494 1
O8 O 0.4457 0.5000 0.8874 1
O9 O 0.4860 0.5000 0.6302 1
O10 O 0.4873 0.0000 0.9338 1
O11 O 0.5141 0.0000 0.7002 1
O12 O 0.5745 0.0000 0.4002 1
O13 O 0.6085 0.5000 0.4075 1
O14 O 0.6140 0.3233 0.1943 1
O15 O 0.7016 0.1772 0.9298 1
O16 O 0.8219 0.0000 0.7411 1
O17 O 0.8335 0.5000 0.7947 1
O18 O 0.8850 0.1956 0.5453 1
```

Main lines, in order of rising 2θ (2θ = 15–90°):
| two_theta | I (rel.) | index |
| --- | --- | --- |
| 30.5 | 61 | 1 1 2 |
| 30.7 | 74 | 2 1 -3 |
| 31.2 | 44 | 0 0 3 |
| 31.4 | 44 | 3 0 0 |
| 31.6 | 46 | 3 0 -3 |
| 31.9 | 100 | 1 2 1 |
| 32.0 | 58 | 2 2 -1 |
| 49.1 | 34 | 5 0 -1 |


This entry pairs a crystal structure of Ca10Si3S3Cl2O24 with its computed XRD peak list. Radiation: Cu Kα X-rays. Structure: a GGA-PBE-relaxed structure.

Cell and atoms:
```
data_Ca10Si3S3Cl2O24
_chemical_formula_sum 'Ca10 Si3 S3 Cl2 O24'
_space_group_name_H-M_alt 'P -6'
_space_group_IT_number 174
_space_group_name_Hall 'P -6'
_cell_length_a 9.9352
_cell_length_b 9.9352
_cell_length_c 6.7540
_cell_angle_alpha 90.00
_cell_angle_beta 90.00
_cell_angle_gamma 120.00
loop_
_atom_site_label
_atom_site_type_symbol
_atom_site_fract_x
_atom_site_fract_y
_atom_site_fract_z
_atom_site_occupancy
Ca1 Ca 0.0000 0.0000 0.2242 1
Ca2 Ca 0.0581 0.6303 0.0000 1
Ca3 Ca 0.0847 0.4121 0.5000 1
Ca4 Ca 0.6667 0.3333 0.2331 1
Si1 Si 0.3631 0.0734 0.0000 1
S1 S 0.2994 0.2489 0.5000 1
Cl1 Cl 0.3333 0.6667 0.2560 1
O1 O 0.0524 0.7463 0.3230 1
O2 O 0.1758 0.0054 0.0000 1
O3 O 0.2027 0.0735 0.5000 1
O4 O 0.4230 0.0183 0.1971 1
O5 O 0.4660 0.2659 0.0000 1
O6 O 0.4668 0.2984 0.5000 1
```

Main lines, in order of rising 2θ (2θ = 15–90°):
| two_theta | I (rel.) | index |
| --- | --- | --- |
| 30.5 | 100 | 2 1 1 |
| 31.2 | 71 | 3 0 0 |
| 32.0 | 74 | 1 1 2 |
└──
So much for the records of crystals =
Similarly, legislators often vote one way when a bill is on the floor, then go back and “amend” their vote to protect their record when on the campaign trail. In this way, the legislator can vote to ensure the outcome he or she desires, but later “amend” their vote in the record (which doesn’t change the outcome) to dodge accountability back home.
Calculated crystals that have nothing to do with the piece:
-- begin --
Record 1
This entry pairs a crystal structure of HoB2 with its theoretical powder diffractogram. Radiation: copper Kα. Structure: a cell relaxed with GGA-PBE.
Neutral-atom scattering factors, no anomalous dispersion.

Top 10 peaks for 2θ from 10° to 80°, in order of falling intensity:
39.49 deg, intensity 100, hkl 1 0 1; 31.46 deg, intensity 76, hkl 1 0 0; 23.27 deg, intensity 47, hkl 0 0 1; 58.15 deg, intensity 27, hkl 1 0 2; 61.46 deg, intensity 21, hkl 1 1 1; 56.00 deg, intensity 19, hkl 1 1 0; 70.68 deg, intensity 18, hkl 2 0 1; 76.48 deg, intensity 16, hkl 1 1 2; 47.57 deg, intensity 11, hkl 0 0 2; 65.66 deg, intensity 9, hkl 2 0 0

Structure:
```
data_HoB2
_chemical_formula_sum 'Ho1 B2'
_cell_length_a 3.2840
_cell_length_b 3.2840
_cell_length_c 3.8231
_cell_angle_alpha 90.00
_cell_angle_beta 90.00
_cell_angle_gamma 120.00
_space_group_name_H-M_alt 'P 6/m m m'
_space_group_IT_number 191
_space_group_name_Hall '-P 6 2'
loop_
_atom_site_label
_atom_site_fract_x
_atom_site_fract_y
_atom_site_fract_z
Ho1 0.0000 0.0000 0.0000
B1 0.3333 0.6667 0.5000
```

---

Record 2
This entry pairs a crystal structure of RbErO3 with its theoretical powder diffractogram. Radiation: copper Kα. Structure: a cell relaxed with GGA-PBE.
Neutral-atom scattering factors, no anomalous dispersion.

Top 10 peaks for 2θ from 10° to 80°, in order of falling intensity:
28.24 deg, intensity 100, hkl 1 1 0; 28.85 deg, intensity 95, hkl 1 0 4; 40.82 deg, intensity 60, hkl 0 2 4; 50.38 deg, intensity 41, hkl 2 1 4; 20.08 deg, intensity 38, hkl 0 1 2; 50.00 deg, intensity 21, hkl 3 0 0; 58.42 deg, intensity 20, hkl 2 2 0; 51.49 deg, intensity 19, hkl 0 1 8; 59.77 deg, intensity 19, hkl 2 0 8; 66.45 deg, intensity 18, hkl 1 3 4

Structure:
```
data_RbErO3
_chemical_formula_sum 'Rb6 Er6 O18'
_cell_length_a 6.3191
_cell_length_b 6.3191
_cell_length_c 15.0085
_cell_angle_alpha 90.00
_cell_angle_beta 90.00
_cell_angle_gamma 120.00
_space_group_name_H-M_alt 'R -3 c'
_space_group_IT_number 167
_space_group_name_Hall '-R 3 2"c'
loop_
_atom_site_label
_atom_site_fract_x
_atom_site_fract_y
_atom_site_fract_z
Rb1 0.0000 0.0000 0.2500
Er1 0.0000 0.0000 0.0000
O1 0.0000 0.4887 0.2500
```

---

Record 3
This entry pairs a crystal structure of Hf7B4C4 with its theoretical powder diffractogram. Radiation: copper Kα. Structure: a cell relaxed with GGA-PBE.
Neutral-atom scattering factors, no anomalous dispersion.

Top 10 peaks for 2θ from 10° to 80°, in order of falling intensity:
33.38 deg, intensity 100, hkl 1 0 7; 32.42 deg, intensity 53, hkl 0 1 7; 38.64 deg, intensity 45, hkl 1 1 0; 37.23 deg, intensity 36, hkl 0 0 14; 65.46 deg, intensity 30, hkl 1 2 7; 35.82 deg, intensity 26, hkl 0 1 9; 59.01 deg, intensity 23, hkl 1 1 16; 54.74 deg, intensity 23, hkl 1 1 14; 39.02 deg, intensity 20, hkl 1 1 2; 54.53 deg, intensity 16, hkl 0 2 0

Structure:
```
data_Hf7B4C4
_chemical_formula_sum 'Hf14 B8 C8'
_cell_length_a 3.2286
_cell_length_b 3.3657
_cell_length_c 33.8092
_cell_angle_alpha 90.00
-- stop --
To avoid these misleading tactics, we examined tough, character-defining votes where legislators were forced to choose a side – votes where legislators were forced to reveal which political faction is indeed their tribe. We looked at votes like these, across varying issue sets, to determine which tribes to place legislators in. Next, we looked at which PACs support these legislators. The results were consistent. Legislators vote consistently. Certain PACs give the most money to certain legislators. The logic isn’t hard. Legislators fall into political tribes and so do PACs.
Finally, we’ll show you our analysis. We looked at two PACs from each of the four political tribes in Texas and examined the strategy behind their giving to politicians, and what that likely means to citizens.
Key takeaway:
How PACs operate can be confusing, and determining which PACs are one your side vs. those that aren’t can seem impossible. But the truth is, a PAC’s ideology isn’t that difficult to ascertain. Here’s the deal:
PACs don’t invest their money evenly; they have certain politicians they support more than others. These are the legislators who most closely reflect the values of the PAC and thus “earn” the PACs money. Why else would PACs invest so much money in them?
The Bottom Line:
PACs and the key politicians they support belong to the same political tribes. We looked at the most prominent PACs in Texas and who gets their money. Specifically, we looked at the top ten recipients of campaign cash from these PACs. Based on how the recipients voted, we were able to determine the ideological position of the PACs and confirm their true alliances. What we found was that the big dollar PACs in Texas fell into ideological, political tribes just as clearly as the legislators they support.
An Easy Guide to the Big Money PACs in Texas Politics – In this Series: